Aim to complete at least 5000 miles in 2011

Sunday 14 November 2010

Poor kid

(Someone pasted records of crystals at this point)
=====
a | {"formula": "K4HfC8O21", "functional": "PBE", "state": "relaxed", "volume_a3_per_cell": 2162, "crystal_system": "monoclinic", "lattice": [[10.909, 0.000, -0.551], [0.000, 12.350, 0.000], [0.378, 0.000, 16.026]], "species": ["K", "K", "K", "K", "K", "K", "K", "K", "K", "K", "K", "K", "K", "K", "K", "K", "Hf", "Hf", "Hf", "Hf", "C", "C", "C", "C", "C", "C", "C", "C", "C", "C", "C", "C", "C", "C", "C", "C", "C", "C", "C", "C", "C", "C", "C", "C", "C", "C", "C", "C", "C", "C", "C", "C", "O", "O", "O", "O", "O", "O", "O", "O", "O", "O", "O", "O", "O", "O", "O", "O", "O", "O", "O", "O", "O", "O", "O", "O", "O", "O", "O", "O", "O", "O", "O", "O", "O", "O", "O", "O", "O", "O", "O", "O", "O", "O", "O", "O", "O", "O", "O", "O", "O", "O", "O", "O", "O", "O", "O", "O", "O", "O", "O", "O", "O", "O", "O", "O", "O", "O", "O", "O", "O", "O", "O", "O", "O", "O", "O", "O", "O", "O", "O", "O", "O", "O", "O", "O"], "fractional_positions": [[0.106, 0.149, 0.751], [0.894, 0.649, 0.749], [0.894, 0.851, 0.249], [0.106, 0.351, 0.251], [0.994, 0.275, 0.003], [0.006, 0.775, 0.497], [0.006, 0.725, 0.997], [0.994, 0.225, 0.503], [0.534, 0.454, 0.815], [0.466, 0.954, 0.685], [0.466, 0.546, 0.185], [0.534, 0.046, 0.315], [0.401, 0.154, 0.917], [0.599, 0.654, 0.583], [0.599, 0.846, 0.083], [0.401, 0.346, 0.417], [0.759, 0.151, 0.677], [0.241, 0.651, 0.823], [0.241, 0.849, 0.323], [0.759, 0.349, 0.177], [0.682, 0.092, 0.855], [0.318, 0.592, 0.645], [0.318, 0.908, 0.145], [0.682, 0.408, 0.355], [0.821, 0.118, 0.862], [0.179, 0.618, 0.638], [0.179, 0.882, 0.138], [0.821, 0.382, 0.362], [0.543, 0.148, 0.547], [0.457, 0.648, 0.953], [0.457, 0.852, 0.453], [0.543, 0.352, 0.047], [0.658, 0.176, 0.495], [0.342, 0.676, 0.005], [0.342, 0.824, 0.505], [0.658, 0.324, 0.995], [0.942, 0.976, 0.624], [0.058, 0.476, 0.876], [0.058, 0.024, 0.376], [0.942, 0.524, 0.124], [0.822, 0.912, 0.640], [0.178, 0.412, 0.860], [0.178, 0.088, 0.360], [0.822, 0.588, 0.140], [0.884, 0.377, 0.681], [0.116, 0.877, 0.819], [0.116, 0.623, 0.319], [0.884, 0.123, 0.181], [0.746, 0.400, 0.689], [0.254, 0.900, 0.811], [0.254, 0.600, 0.311], [0.746, 0.100, 0.189], [0.637, 0.108, 0.780], [0.363, 0.608, 0.720], [0.363, 0.892, 0.220], [0.637, 0.392, 0.280], [0.865, 0.147, 0.791], [0.135, 0.647, 0.709], [0.135, 0.853, 0.209], [0.865, 0.353, 0.291], [0.880, 0.113, 0.929], [0.120, 0.613, 0.571], [0.120, 0.887, 0.071], [0.880, 0.387, 0.429], [0.623, 0.061, 0.915], [0.377, 0.561, 0.585], [0.377, 0.939, 0.085], [0.623, 0.439, 0.415], [0.567, 0.132, 0.624], [0.433, 0.632, 0.876], [0.433, 0.868, 0.376], [0.567, 0.368, 0.124], [0.755, 0.182, 0.541], [0.245, 0.682, 0.959], [0.245, 0.818, 0.459], [0.755, 0.318, 0.041], [0.648, 0.189, 0.418], [0.352, 0.689, 0.082], [0.352, 0.811, 0.582], [0.648, 0.311, 0.918], [0.440, 0.143, 0.510], [0.560, 0.643, 0.990], [0.560, 0.857, 0.490], [0.440, 0.357, 0.010], [0.929, 0.079, 0.634], [0.071, 0.579, 0.866], [0.071, 0.921, 0.366], [0.929, 0.421, 0.134], [0.734, 0.974, 0.662], [0.266, 0.474, 0.838], [0.266, 0.026, 0.338], [0.734, 0.526, 0.162], [0.818, 0.811, 0.631], [0.182, 0.311, 0.869], [0.182, 0.189, 0.369], [0.818, 0.689, 0.131], [0.038, 0.931, 0.603], [0.962, 0.431, 0.897], [0.962, 0.069, 0.397], [0.038, 0.569, 0.103], [0.906, 0.276, 0.664], [0.094, 0.776, 0.836], [0.094, 0.724, 0.336], [0.906, 0.224, 0.164], [0.680, 0.313, 0.696], [0.320, 0.813, 0.804], [0.320, 0.687, 0.304], [0.680, 0.187, 0.196], [0.705, 0.494, 0.692], [0.295, 0.994, 0.808], [0.295, 0.506, 0.308], [0.705, 0.006, 0.192], [0.961, 0.449, 0.692], [0.039, 0.949, 0.808], [0.039, 0.551, 0.308], [0.961, 0.051, 0.192], [0.190, 0.101, 0.020], [0.810, 0.601, 0.480], [0.810, 0.899, 0.980], [0.190, 0.399, 0.520], [0.168, 0.370, 0.592], [0.832, 0.870, 0.908], [0.832, 0.630, 0.408], [0.168, 0.130, 0.092], [0.254, 0.108, 0.586], [0.746, 0.608, 0.914], [0.746, 0.892, 0.414], [0.254, 0.392, 0.086], [0.373, 0.285, 0.715], [0.627, 0.785, 0.785], [0.627, 0.715, 0.285], [0.373, 0.215, 0.215], [0.416, 0.335, 0.655], [0.584, 0.835, 0.845], [0.584, 0.665, 0.345], [0.416, 0.165, 0.155]]}
=====

Dragged my ass out of bed this morning and hooked up with Richard for a "family ride" with his club. One of the riders had his young kid with him, think he was about 8 or 9, on the back of his tandem. 18 miles later at the cafe, said kid announces "Dad... I can't see anything" and looks decidedly wobbly! I think he was bonking! Anyway, when chatting to his dad I said "are his pedals fixed with yours?"
"Yep!" pronounces his dad. Blimey! no wonder he was bonking... had to cycle at his dad's pace!! LOL. Surprised he hadn't fallen off with exhaustion. O well, can of Coke and a Toffee cake put him right.
35 miles in total for me... probably more for that kid, as I peeled off early and took the short cut home.

Friday 12 November 2010

New shooooooooooooooooos!

Just ordered some new pink cycle shoes from Wiggle. Whoop! PINK!!!! (",)

Sunday 7 November 2010

Took my mate bike shopping yesterday, got a really nice bike for £1k on the cycle scheme. Kuota. Alu frame but looks bling! White. She can't wait for the guy to get it in for her now. She better not park it in the shed next to mine! a teensy weensy bit jealous.
And my own winter bike got a good wash down, clean up and new inners today (just in case the others inners had perished). It's the bike with all my good lights on so I might actually be able to see where I'm going now. Didn't realise how hard those tyres are to get off the rims . Got a bad tyre/rim combo me thinks. Was gonna clean up the carbon before I stored it but my hands were freezing so I decided to leave it til next weekend.

Wednesday 3 November 2010

Unplanned deflation.

Well, my swollen eyes are back to normal thank God. And I added another 25 miles today. Weather surprisingly warm, although wet, and I had a visit from the puncture fairy on the way home... but thankfully only 500 yards from my house. A nice lady (fellow cyclist) stopped to offer help. Bless. Cyclists Unite! I would have done the same (and have done).
Will sort the puncture out at the weekend as not riding tomorrow or Friday.

Monday 1 November 2010


OMG when I went swimming yesterday my goggles were leaking so I put them on really tight and now I look like something off Halloween! I've got swollen slightly bruised eyes. More worryingly is the blue vein that has appeared! That shit better not be permanent! LMAO! Hopefully I will look much better tomorrow morning than I did this morning!
Another 25 miles on the bike today. Have to catch the train now as nights/mornings too dark (that's a lie, mornings are ok at the moment but I couldn't be arsed to do the full commute to work with a heavy rucksack).
Also... have an annoying clicking sound on my bike. Hate it when that happens. I know it's coming from the pedals but where exactly is another matter!